# K3SmPa3Se8 PBE relaxed
data_K3SmPa3Se8
_chemical_formula_sum 'K3 Sm1 Pa3 Se8'
_space_group_name_H-M_alt 'P 1'
_space_group_IT_number 1
_cell_length_a 9.2465
_cell_length_b 9.2465
_cell_length_c 9.2465
_cell_angle_alpha 53.61
_cell_angle_beta 53.61
_cell_angle_gamma 53.61
loop_
_space_group_symop_operation_xyz
'x,y,z'
loop_
_atom_site_label
_atom_site_fract_x
_atom_site_fract_y
_atom_site_fract_z
K1 0.0000 0.5000 0.5000
K2 0.5000 0.0000 0.5000
K3 0.5000 0.5000 0.0000
Sm1 0.5000 0.5000 0.5000
Pa1 0.0000 0.0000 0.5000
Pa2 0.0000 0.5000 0.0000
Pa3 0.5000 0.0000 0.0000
Se1 0.2294 0.7392 0.7392
Se2 0.2369 0.2369 0.2369
Se3 0.2608 0.2608 0.7706
Se4 0.2608 0.7706 0.2608
Se5 0.7392 0.2294 0.7392
Se6 0.7392 0.7392 0.2294
Se7 0.7631 0.7631 0.7631
Se8 0.7706 0.2608 0.2608
# - electronic total energy (eV/atom) = -5.736
# - E_form (uncorrected) (kJ/mol of formula units) = -2090.8



# K2SmPa2Se6 PBE relaxed
data_K2SmPa2Se6
_chemical_formula_sum 'K2 Sm1 Pa2 Se6'
_space_group_name_H-M_alt 'P 1'
_space_group_IT_number 1
_cell_length_a 7.2504
_cell_length_b 7.2504
_cell_length_c 8.2670
_cell_angle_alpha 98.18
_cell_angle_beta 98.18
_cell_angle_gamma 120.00
loop_
_space_group_symop_operation_xyz
'x,y,z'
loop_
_atom_site_label
_atom_site_fract_x
_atom_site_fract_y
_atom_site_fract_z
K1 0.1651 0.8349 0.0000
K2 0.8349 0.1651 0.0000
Sm1 0.0000 0.0000 0.5000
Pa1 0.3356 0.6644 0.5000
Pa2 0.6644 0.3356 0.5000
Se1 0.0650 0.4072 0.7038
Se2 0.2714 0.2714 0.2925
Se3 0.4072 0.0650 0.7038
Se4 0.5928 0.9350 0.2962
Se5 0.7286 0.7286 0.7075
Se6 0.9350 0.5928 0.2962
# - electronic total energy (eV/atom) = -5.752
# - E_form (uncorrected) (kJ/mol of formula units) = -1587.5



# K2PaSnSe5 PBE relaxed
data_K2PaSnSe5
_chemical_formula_sum 'K4 Pa2 Sn2 Se10'
_space_group_name_H-M_alt 'P 1'
_space_group_IT_number 1
_cell_length_a 9.4557
_cell_length_b 9.4557
_cell_length_c 14.6251
_cell_angle_alpha 90.00
_cell_angle_beta 90.00
_cell_angle_gamma 152.91
loop_
_space_group_symop_operation_xyz
'x,y,z'
loop_
_atom_site_label
_atom_site_fract_x
_atom_site_fract_y
_atom_site_fract_z
K1 0.0999 0.9001 0.5000
K2 0.1337 0.8663 0.1424
K3 0.8663 0.1337 0.6424
K4 0.9001 0.0999 0.0000
Pa1 0.2177 0.7823 0.8562
Pa2 0.7823 0.2177 0.3562
Sn1 0.4595 0.5405 0.2682
Sn2 0.5405 0.4595 0.7682
Se1 0.0628 0.9372 0.8769
Se2 0.2823 0.7177 0.4761
Se3 0.3072 0.6928 0.2327
Se4 0.3593 0.6407 0.8271
Se5 0.4962 0.5038 0.6036
Se6 0.5038 0.4962 0.1036
Se7 0.6407 0.3593 0.3271
Se8 0.6928 0.3072 0.7327
Se9 0.7177 0.2823 0.9761
Se10 0.9372 0.0628 0.3769
# - electronic total energy (eV/atom) = -4.737
# - E_form (uncorrected) (kJ/mol of formula units) = -918.3



Which of these has the highest electronic total energy? K2PaSnSe5



Among the records above, which one has the lowest electronic total energy? K2SmPa2Se6



Repeat the second record exactly.
# K2SmPa2Se6 PBE relaxed
data_K2SmPa2Se6
_chemical_formula_sum 'K2 Sm1 Pa2 Se6'
_space_group_name_H-M_alt 'P 1'
_space_group_IT_number 1
_cell_length_a 7.2504
_cell_length_b 7.2504
_cell_length_c 8.2670
_cell_angle_alpha 98.18
_cell_angle_beta 98.18
_cell_angle_gamma 120.00
loop_
_space_group_symop_operation_xyz
'x,y,z'
loop_
_atom_site_label
_atom_site_fract_x
_atom_site_fract_y
_atom_site_fract_z
K1 0.1651 0.8349 0.0000
K2 0.8349 0.1651 0.0000
Sm1 0.0000 0.0000 0.5000
Pa1 0.3356 0.6644 0.5000
Pa2 0.6644 0.3356 0.5000
Se1 0.0650 0.4072 0.7038
Se2 0.2714 0.2714 0.2925
Se3 0.4072 0.0650 0.7038
Se4 0.5928 0.9350 0.2962
Se5 0.7286 0.7286 0.7075
Se6 0.9350 0.5928 0.2962
# - electronic total energy (eV/atom) = -5.752
# - E_form (uncorrected) (kJ/mol of formula units) = -1587.5


Below is crystalline CeTh2Fe2 at its relaxed geometry, with properties calculated at the GGA-PBE level.

ρ in Mg/m³: 10.68
E_form in eV per atom: -0.067
Symmetry: C2/c
DOS(E_F) in states/eV per atom: 1.262

a = 6.0404 Å, b = 6.0404 Å, c = 7.0652 Å
α = 83.36°, β = 83.36°, γ = 60.67°
Last column: nearest neighbours and their distance in Å.
Sites, in units of the cell vectors:

What is needed: start at the top of the lines further up and give back each line, ending with the one that has "Sn2 0.5405".

# K3SmPa3Se8 PBE relaxed
data_K3SmPa3Se8
_chemical_formula_sum 'K3 Sm1 Pa3 Se8'
_space_group_name_H-M_alt 'P 1'
_space_group_IT_number 1
_cell_length_a 9.2465
_cell_length_b 9.2465
_cell_length_c 9.2465
_cell_angle_alpha 53.61
_cell_angle_beta 53.61
_cell_angle_gamma 53.61
loop_
_space_group_symop_operation_xyz
'x,y,z'
loop_
_atom_site_label
_atom_site_fract_x
_atom_site_fract_y
_atom_site_fract_z
K1 0.0000 0.5000 0.5000
K2 0.5000 0.0000 0.5000
K3 0.5000 0.5000 0.0000
Sm1 0.5000 0.5000 0.5000
Pa1 0.0000 0.0000 0.5000
Pa2 0.0000 0.5000 0.0000
Pa3 0.5000 0.0000 0.0000
Se1 0.2294 0.7392 0.7392
Se2 0.2369 0.2369 0.2369
Se3 0.2608 0.2608 0.7706
Se4 0.2608 0.7706 0.2608
Se5 0.7392 0.2294 0.7392
Se6 0.7392 0.7392 0.2294
Se7 0.7631 0.7631 0.7631
Se8 0.7706 0.2608 0.2608
# - electronic total energy (eV/atom) = -5.736
# - E_form (uncorrected) (kJ/mol of formula units) = -2090.8



# K2SmPa2Se6 PBE relaxed
data_K2SmPa2Se6
_chemical_formula_sum 'K2 Sm1 Pa2 Se6'
_space_group_name_H-M_alt 'P 1'
_space_group_IT_number 1
_cell_length_a 7.2504
_cell_length_b 7.2504
_cell_length_c 8.2670
_cell_angle_alpha 98.18
_cell_angle_beta 98.18
_cell_angle_gamma 120.00
loop_
_space_group_symop_operation_xyz
'x,y,z'
loop_
_atom_site_label
_atom_site_fract_x
_atom_site_fract_y
_atom_site_fract_z
K1 0.1651 0.8349 0.0000
K2 0.8349 0.1651 0.0000
Sm1 0.0000 0.0000 0.5000
Pa1 0.3356 0.6644 0.5000
Pa2 0.6644 0.3356 0.5000
Se1 0.0650 0.4072 0.7038
Se2 0.2714 0.2714 0.2925
Se3 0.4072 0.0650 0.7038
Se4 0.5928 0.9350 0.2962
Se5 0.7286 0.7286 0.7075
Se6 0.9350 0.5928 0.2962
# - electronic total energy (eV/atom) = -5.752
# - E_form (uncorrected) (kJ/mol of formula units) = -1587.5



# K2PaSnSe5 PBE relaxed
data_K2PaSnSe5
_chemical_formula_sum 'K4 Pa2 Sn2 Se10'
_space_group_name_H-M_alt 'P 1'
_space_group_IT_number 1
_cell_length_a 9.4557
_cell_length_b 9.4557
_cell_length_c 14.6251
_cell_angle_alpha 90.00
_cell_angle_beta 90.00
_cell_angle_gamma 152.91
loop_
_space_group_symop_operation_xyz
'x,y,z'
loop_
_atom_site_label
_atom_site_fract_x
_atom_site_fract_y
_atom_site_fract_z
K1 0.0999 0.9001 0.5000
K2 0.1337 0.8663 0.1424
K3 0.8663 0.1337 0.6424
K4 0.9001 0.0999 0.0000
Pa1 0.2177 0.7823 0.8562
Pa2 0.7823 0.2177 0.3562
Sn1 0.4595 0.5405 0.2682
Sn2 0.5405 0.4595 0.7682